Paleontology Gone Wild (original) (raw)

Paleontology is like any other science. Experts examine the available evidence, trade ideas, erect tentative theories, and wait to see if those theories stand the test of time (or flurries of criticism from competing experts). Sometimes an idea flourishes and bears fruit; other times it withers on the vine and recedes into the long-forgotten mists of history. Paleontologists don't always get things right the first time, and their worst blunders, misunderstandings, and out-and-out frauds, like dinosaurs themselves, should not be forgotten.

The Stegosaurus With a Brain in its Butt

EvaK / Wikimedia Commons / CC BY-SA 2.5

When stegosaurus was discovered in 1877, naturalists weren't used to the idea of elephant-sized lizards equipped with bird-sized brains. That's why in the late 19th century, the famous American paleontologist Othniel C. Marsh broached the idea of a second brain in Stegosaurus' hip or rump, which presumably helped to control the rear part of its body. Today, no one believes that Stegosaurus (or any dinosaur) had two brains, but it may well turn out that the cavity in this stegosaur's tail was used to store extra food, in the form of glycogen.

The Brachiosaurus From Beneath the Sea

Charles R. Knight / Wikimedia Commons / Public Domain

When you discover a dinosaur with a 40-foot neck and a skull with nasal openings on top, it's natural to speculate about what kind of environment it could possibly have lived in. For decades, 19th century paleontologists believed that brachiosaurus spent most of its life underwater, sticking the very top of its head out of the surface to breathe, like a human snorkeler. However, later research proved that sauropods as massive as brachiosaurus would have instantly suffocated in high water pressure, and this genus was relocated to the land, where it properly belonged.

The Elasmosaurus With a Head on its Tail

Daniel Eskridge / Getty Images

In 1868, one of the longest-running feuds in modern science got off to a rousing start when the American paleontologist Edward Drinker Cope reconstructed an elasmosaurus skeleton with its head on its tail, rather than its neck (to be fair, no one had ever examined such a long-necked marine reptile before). According to legend, this error was quickly pointed out (in a not-very-friendly way) by Marsh, Cope's rival, which became the first shot in what would be known as the late 19th century "Bone Wars."

The Oviraptor That Stole its Own Eggs

(These records of crystals were left in the page by mistake)
+++
LiHfB3 | GGA-PBEsol | optimized geometry

Calculated values
V = 48.1 Å³/f.u.
DFT formation energy = 4.53 eV per formula unit
size of the total moment = 0.00 μB per formula unit

a = 3.6362 Å, b = 3.6362 Å, c = 3.6362 Å
α = 90.00°, β = 90.00°, γ = 90.00°
Sites, in units of the cell vectors:
B1 0.0000 0.5000 0.0000
B2 0.0000 0.0000 0.5000
B3 0.5000 0.0000 0.0000
Hf1 0.5000 0.5000 0.5000
Li1 0.0000 0.0000 0.0000
+++
(The records of crystals stop here)

HombreDHojalata / Wikimedia Commons / CC BY-SA 3.0

When the type fossil of oviraptor was discovered in 1923, its skull lay only four inches away from a clutch of protoceratops eggs, prompting the American paleontologist Henry Osborn to assign this dinosaur's name (Greek for "egg thief"). For years afterward, oviraptor lingered in the popular imagination as a wily, hungry, none-too-nice gobbler of other species' young. The trouble is, it was later demonstrated that those "protoceratops" eggs were really oviraptor eggs after all, and this misunderstood dinosaur was simply guarding its own brood!

Wicki58 / Getty Images

The National Geographic Society doesn't put its institutional heft behind just any dinosaur find, which is why this august body was embarrassed to discover that the so-called "archaeoraptor" it prominently displayed in 1999 had actually been cobbled together out of two separate fossils. It seems that a Chinese adventurer was eager to supply the long-sought "missing link" between dinosaurs and birds, and fabricated the evidence out of the body of a chicken and the tail of a lizard--which he then said he'd discovered in 125-million-year-old rocks.

The Iguanodon With a Horn on its Snout

Biodiversity Heritage Library

Iguanodon was one of the first dinosaurs ever to be discovered and named, so it's understandable that the baffled naturalists of the early 19th century were unsure how to piece its bones together. The man who discovered Iguanodon, Gideon Mantell, placed its thumb spike on the end of its snout, like the horn of a reptilian rhinoceros--and it took decades for experts to work out this ornithopod's posture. Iguanodon is now believed to have been mostly quadrupedal, but capable of rearing up on its hind legs when necessary.

The Arboreal Hypsilophodon

MWAK / Wikimedia Commons / Public Domain

## Unrelated to this page: calculated crystals
=====
Material: InSe
Method: DFT, PBEsol
State: relaxed

Computed properties:
Symmetry = R3m (160)
Total DFT energy (no corrections) = -7.80 eV/f.u.
V = 57.9 Å³/f.u.
Size of the total moment = 0.0 μB per formula unit

a b c (Å): 4.003 4.003 8.664
angles (deg): 76.64 76.64 60.00
Fractional positions:
In  0.000  0.000  0.001
In  0.889  0.889  0.333
Se  0.171  0.171  0.486
Se  0.384  0.384  0.847

----------

1.
A geometry-optimized Zn7GaCu4 structure, computed with PBE.

a = 6.2849 Å, b = 6.2849 Å, c = 9.0941 Å
α = 125.58°, β = 125.58°, γ = 41.73°
Fractional coordinates of all 12 atoms:
Zn1 0.0000 0.0000 0.0000
Zn2 0.1551 0.1551 0.5962
Zn3 0.2799 0.2799 0.1510
Zn4 0.4399 0.4399 0.6476
Zn5 0.5601 0.5601 0.3524
Zn6 0.7201 0.7201 0.8490
Zn7 0.8449 0.8449 0.4038
Ga1 0.5000 0.5000 0.0000
Cu1 0.0778 0.0778 0.7930
Cu2 0.1912 0.1912 0.3530
Cu3 0.8088 0.8088 0.6470
Cu4 0.9222 0.9222 0.2070

Values from the calculation:
- calculated total energy (eV per atom) = -2.249

2.
A geometry-optimized Zn3GaCu4 structure, computed with PBE.

a = 5.6705 Å, b = 6.8333 Å, c = 5.4758 Å
α = 90.00°, β = 90.00°, γ = 90.00°
Fractional coordinates of all 16 atoms:
Zn1 0.0000 0.0005 0.0000
Zn2 0.2504 0.2459 0.2502
Zn3 0.2496 0.7541 0.7502
Zn4 0.5000 0.9995 0.5000
Zn5 0.7496 0.2459 0.2502
Zn6 0.7504 0.7541 0.7502
Ga1 0.0000 0.4995 0.0000
Ga2 0.5000 0.5005 0.5000
Cu1 0.0000 0.0004 0.5001
Cu2 0.0000 0.4997 0.5001
Cu3 0.2493 0.7497 0.2500
Cu4 0.2507 0.2503 0.7500
Cu5 0.5000 0.9996 0.0001
Cu6 0.5000 0.5003 0.0001
Cu7 0.7493 0.2503 0.7500
Cu8 0.7507 0.7497 0.2500

Values from the calculation:
- calculated total energy (eV per atom) = -2.941

3.
A geometry-optimized Zn2Ga8Cu3 structure, computed with PBE.

a = 7.7219 Å, b = 4.0092 Å, c = 7.9515 Å
α = 90.00°, β = 116.90°, γ = 90.00°
Fractional coordinates of all 13 atoms:
Zn1 0.0244 0.0000 0.3094
Zn2 0.9756 0.0000 0.6906
Ga1 0.2140 0.0000 0.1031
Ga2 0.2190 0.5000 0.8513
Ga3 0.2950 0.5000 0.4105
Ga4 0.3025 0.0000 0.6473
Ga5 0.6975 0.0000 0.3527
Ga6 0.7050 0.5000 0.5895
Ga7 0.7810 0.5000 0.1487
Ga8 0.7860 0.0000 0.8969
Cu1 0.4654 0.5000 0.2050
Cu2 0.5000 0.0000 0.0000
Cu3 0.5346 0.5000 0.7950

Values from the calculation:
- calculated total energy (eV per atom) = -3.019

4.
A geometry-optimized Zn4GaCu15 structure, computed with PBE.

a = 3.6563 Å, b = 3.6563 Å, c = 18.6563 Å
α = 90.00°, β = 90.00°, γ = 90.00°
Fractional coordinates of all 20 atoms:
Zn1 0.0000 0.0000 0.0997
Zn2 0.0000 0.0000 0.2997
Zn3 0.0000 0.0000 0.7003
Zn4 0.0000 0.0000 0.9003
Ga1 0.0000 0.0000 0.5000
Cu1 0.0000 0.5000 0.0000
Cu2 0.0000 0.5000 0.1996
Cu3 0.0000 0.5000 0.3997
Cu4 0.0000 0.5000 0.6003
Cu5 0.0000 0.5000 0.8004
Cu6 0.5000 0.0000 0.0000
Cu7 0.5000 0.0000 0.1996
Cu8 0.5000 0.0000 0.3997
Cu9 0.5000 0.0000 0.6003
Cu10 0.5000 0.0000 0.8004
Cu11 0.5000 0.5000 0.0998
Cu12 0.5000 0.5000 0.2997
Cu13 0.5000 0.5000 0.5000
Cu14 0.5000 0.5000 0.7003
Cu15 0.5000 0.5000 0.9002

Values from the calculation:
- calculated total energy (eV per atom) = -3.558

5.
=====

When it was discovered in 1849, the tiny dinosaur hypsilophodon went against the grain of accepted Mesozoic anatomy. This ancient ornithopod was small, sleek, and bipedal, rather than huge, quadrupedal, and lumbering. Unable to process the conflicting data, early paleontologists surmised that Hypsilophodon lived up in trees, like an oversized squirrel. However, in 1974, a detailed study of hypsilophodon's body plan demonstrated that it was no more capable of climbing an oak tree than a comparably sized dog.

Hydrarchos, Ruler of the Waves

Internet Archive Book Images / Flickr / Public Domain

The early 19th century witnessed the "Gold Rush" of paleontology, with biologists, geologists, and plain amateurs stumbling over themselves to unearth the latest spectacular fossils. The culmination of this trend occurred in 1845, when Albert Koch displayed a gigantic marine reptile he named hydrarchos. It had actually been pieced together from the skeletal remains of basilosaurus, a prehistoric whale. By the way, hydrarchos' putative species name, "sillimani," refers not to its misguided perpetrator, but to the 19th century naturalist Benjamin Silliman.

The Plesiosaur Lurking in Loch Ness

Héctor Ratia / Flickr / CC BY-NC-ND 2.0

The most famous "photograph" of the Loch Ness Monster shows a reptilian creature with an unusually long neck, and the most famous reptilian creatures with unusually long necks were the marine reptiles known as plesiosaurs, which went extinct 65 million years ago years ago. Today, some cryptozoologists (and lots of pseudoscientists) continue to believe that a gigantic plesiosaur lives in Loch Ness, even though no one has ever been able to produce convincing proof for the existence of this multi-ton behemoth.

Dinosaur Killing Caterpillars

avideus / Getty Images

Materials data, as found in the file >
VASP calculation (PBE) on an optimized crystal structure of CeMgTlRh. Values from VASP.

The structure in Quantum ESPRESSO input format:
```
&SYSTEM
  ibrav = 0, nat = 4, ntyp = 4
/
ATOMIC_SPECIES
Tl 204.38 Tl.upf
Rh 102.91 Rh.upf
Mg 24.30 Mg.upf
Ce 140.12 Ce.upf
CELL_PARAMETERS angstrom
-3.155 3.876 0.270
-1.874 1.397 4.426
1.483 4.293 2.103
ATOMIC_POSITIONS crystal
Tl 0.250 0.250 0.250
Rh 0.750 0.750 0.750
Mg 0.500 0.500 0.500
Ce 0.000 0.000 0.000
```

Summary:
- ΔE_f (meV per atom) = -280
- DOS at the Fermi energy (states/eV/cell) = 5.63
- symmetry = F-43m, No. 216

* * * * *

No. 1
Compound: AcCu2Au
Source: Alexandria
Functional: PBE
Structure: relaxed

Computed properties:
E_form = -320 meV per atom
DOS(E_F) = 0.5135 states/eV per atom
Volume = 21.81 Å³ per atom

Cell lengths 4.493, 4.493, 5.623 Å; angles 66.45, 66.45, 60.00 degrees
Element x y z (fractional)
Ac 0.000 0.000 0.000
Au 0.500 0.500 0.500
Cu 0.797 0.797 0.608
Cu 0.203 0.203 0.392

***

No. 2
Compound: Sm2Dy3Er6
Source: Alexandria
Functional: PBE
Structure: relaxed

Computed properties:
E_form = 190 meV per atom
DOS(E_F) = 1.6536 states/eV per atom
Volume = 33.18 Å³ per atom

Cell lengths 6.069, 6.077, 11.605 Å; angles 84.95, 79.85, 60.04 degrees
Element x y z (fractional)
Sm 0.166 0.667 0.500
Sm 0.834 0.333 0.500
Dy 0.000 0.000 0.000
Dy 0.335 0.330 0.000
Dy 0.665 0.670 0.000
Er 0.416 0.667 0.752
Er 0.750 0.000 0.752
Er 0.083 0.333 0.752
Er 0.250 0.000 0.248
Er 0.584 0.333 0.248
Er 0.917 0.667 0.248

***

No. 3
Compound: Si2SnRhO
Source: Alexandria
Functional: PBE
Structure: relaxed

Computed properties:
DOS(E_F) = 0.3539 states/eV per atom
Volume = 16.32 Å³ per atom
Formation energy (no corrections) = -0.6531 eV per atom

Cell lengths 3.039, 4.301, 6.440 Å; angles 88.03, 76.71, 85.04 degrees
Element x y z (fractional)
Si 0.720 0.941 0.850
Si 0.147 0.386 0.799
Sn 0.305 0.124 0.345
Rh 0.733 0.631 0.546
O 0.926 0.646 0.000

***

No. 4
Compound: TaFe4
Source: Alexandria
Functional: PBE
Structure: relaxed

Computed properties:
E_form = 1670 meV per atom
DOS(E_F) = 1.3993 states/eV per atom
Volume = 17.75 Å³ per atom

Cell lengths 4.460, 4.460, 4.460 Å; angles 90.00, 90.00, 90.00 degrees
Last column: magnetic moment on the atom in μB.
Element x y z (fractional)
Fe 0.000 0.000 0.000  3.23
Fe 0.500 0.000 0.500  1.75
Fe 0.000 0.500 0.500  1.75
Fe 0.500 0.500 0.000  1.75
Ta 0.500 0.500 0.500  -0.49

***

No. 5
Compound: InMoAs4
Source: Alexandria
Functional: PBE
Structure: relaxed

Computed properties:
E_form = 710 meV per atom
DOS(E_F) = 0.7319 states/eV per atom
Volume = 19.84 Å³ per atom

Cell lengths 5.522, 5.522, 5.522 Å; angles 60.00, 60.00, 60.00 degrees
Last column: magnetic moment on the atom in μB.
Element x y z (fractional)
In 0.750 0.750 0.750  -0.01
Mo 0.000 0.000 0.000  0.55
As 0.880 0.373 0.373  -0.01
As 0.373 0.373 0.880  -0.01
As 0.373 0.880 0.373  -0.01
As 0.373 0.373 0.373  -0.01

***

No. 6
Compound: NaTePdC2
Source: Alexandria
Functional: PBE
Structure: relaxed
Back to the entry >

Caterpillars evolved during the late Cretaceous period, shortly before the dinosaurs went extinct. Coincidence, or something more sinister? Scientists were once semi-convinced by the theory that hordes of voracious caterpillars stripped ancient woodlands of their leaves, prompting the starvation of plant-eating dinosaurs (and of the meat-eating dinosaurs that fed on them). Death-by-caterpillar still has its adherents, but today, most experts believe that dinosaurs were done in by a massive meteor impact, which seems more convincing.